The Session Token testnet has been live for just over a week, marking a significant milestone in the journey towards mainnet and the beginning of the Lighthouse Phase. Here, the Session Token development team reflects on the months of groundwork that have gone into preparing the smart contracts. In particular, this post provides more context around two major areas of technical work for the new Session Network: Arbitrum Witnessing and Streamlining Registration.

Arbitrum Witnessing

The Session Network will use the Oxen appchain to handle some computational tasks, transaction validation and finality, and ensure data availability and security. All of this requires an L2 tracker to communicate between the appchain and Aribtrum One. The L2 tracker is responsible for witnessing events on Arbitrum and transferring information about these events to the Oxen appchain.

One of the challenges with using Arbitrum One is its high hardware requirements—put in place to increase transaction throughput. To avoid having similarly high hardware requirements for Session Nodes, operators will be able to utilise low-cost Arbitrum RPC nodes to witness the chain. This constraint puts an upper limit on the number of times a Session Node can contact the RPC nodes to minimise operating costs. The limits were chosen to ensure compatibility with many of the low-tiers available from Web3 providers like Infura and Alchemy.

It was also critical to consider possible ways that the new Session Network could impact users negatively. Since consensus is now dependent on Arbitrum, there's a possibility of denial-of-service attacks outside of the Session Network’s immediate control. RPC outages or Arbitrum network instability could also affect Session’s stability. Some of the ways we've chosen to mitigate these issues include:

[Materials data from another source follow]
Entry 1:
DFT (PBE-GGA) results for a relaxed structure of Ca2Mg.

abc: 6.6351 6.6351 9.4465
angles: 111.05 111.05 33.08
Fractional coordinates of all 6 atoms:
Ca 0.0193 0.0193 0.2107
Ca 0.3353 0.3353 0.3910
Ca 0.6647 0.6647 0.6090
Ca 0.9807 0.9807 0.7893
Mg 0.3147 0.3147 0.9330
Mg 0.6853 0.6853 0.0670

Results
Energy of formation: -0.028 eV per atom
Density: 1.65 g cm⁻³
SG: No. 12

=====

Entry 2:
DFT (PBE-GGA) results for a relaxed structure of Tb2PdRu.

abc: 4.9042 4.9042 4.9042
angles: 60.00 60.00 60.00
Fractional coordinates of all 4 atoms:
Tb 0.2500 0.2500 0.2500
Tb 0.7500 0.7500 0.7500
Pd 0.0000 0.0000 0.0000
Ru 0.5000 0.5000 0.5000

Results
Energy of formation: -0.623 eV per atom
Density: 10.46 g cm⁻³
SG: No. 225

=====

Entry 3:
DFT (PBE-GGA) results for a relaxed structure of USO.

abc: 3.7915 3.7915 6.7479
angles: 90.00 90.00 90.00
Fractional coordinates of all 6 atoms:
U 0.2500 0.2500 0.2005
U 0.7500 0.7500 0.7995
S 0.2500 0.2500 0.6340
S 0.7500 0.7500 0.3660
O 0.2500 0.7500 0.0000
O 0.7500 0.2500 0.0000

Results
Energy of formation: -2.781 eV per atom
Density: 9.79 g cm⁻³
SG: No. 129

=====

Number 1: raw total energy -11.4 eV/cell. Number 2: raw total energy -26.2 eV/cell. Number 3: raw total energy -55.1 eV/cell.

~~~~~

No. 1
# BaGeS3 PBE optimized geometry
# - ρ (g/cm3) = 3.646
# - volume (Å³/atom) = 27.88
data_BaGeS3
_chemical_formula_sum 'Ba8 Ge8 S24'
_symmetry_space_group_name_H-M 'P 1 21/c 1'
_symmetry_Int_Tables_number 14
_symmetry_space_group_name_Hall '-P 2ybc'
_cell_length_a 15.627
_cell_length_b 5.835
_cell_length_c 13.551
_cell_angle_alpha 90.00
_cell_angle_beta 115.49
_cell_angle_gamma 90.00
loop_
_atom_site_label
_atom_site_fract_x
_atom_site_fract_y
_atom_site_fract_z
Ba1 0.137 0.240 0.106
Ba2 0.363 0.747 0.470
Ge1 0.075 0.655 0.307
Ge2 0.425 0.159 0.733
S1 0.075 0.239 0.814
S2 0.101 0.748 0.474
S3 0.179 0.737 0.244
S4 0.322 0.243 0.567
S5 0.400 0.250 0.375
S6 0.425 0.735 0.239


No. 2
# NdBS3 PBE optimized geometry
# - ρ (g/cm3) = 4.065
# - volume (Å³/atom) = 20.52
data_NdBS3
_chemical_formula_sum 'Nd4 B4 S12'
_symmetry_space_group_name_H-M 'P n a 21'
_symmetry_Int_Tables_number 33
_symmetry_space_group_name_Hall 'P 2c -2n'
_cell_length_a 7.573
_cell_length_b 6.072
_cell_length_c 8.927
_cell_angle_alpha 90.00
_cell_angle_beta 90.00
_cell_angle_gamma 90.00
loop_
_atom_site_label
_atom_site_fract_x
_atom_site_fract_y
_atom_site_fract_z
Nd1 0.114 0.069 0.000
B1 0.148 0.601 0.831
S1 0.001 0.394 0.490
S2 0.177 0.836 0.706
S3 0.205 0.868 0.299


No. 3
# TbCeO4 PBE optimized geometry
# - ρ (g/cm3) = 7.412
# - volume (Å³/atom) = 13.56
data_TbCeO4
_chemical_formula_sum 'Tb2 Ce2 O8'
_symmetry_space_group_name_H-M 'P 1 21/m 1'
_symmetry_Int_Tables_number 11
_symmetry_space_group_name_Hall '-P 2yb'
_cell_length_a 3.813
_cell_length_b 5.604
_cell_length_c 7.637
_cell_angle_alpha 90.00
_cell_angle_beta 94.55
_cell_angle_gamma 90.00
loop_
_atom_site_label
_atom_site_fract_x
_atom_site_fract_y
_atom_site_fract_z
[The page goes on]

  1. Allowing multiple fall-back providers that are periodically ranked on performance, measured by their responsiveness to requests
  2. Treating Arbitrum as providing weak-consensus to the operation of the Session network

The second point means that Session Nodes may accept temporary non-consensus regarding the state of Arbitrum to ensure the continual, uninterrupted operation of the Session Network. This allows the Session Network to smooth out performance degradation during destabilising events (such as Arbitrum provider outages) and maintain Session service in the meantime, before eventually reaching consensus once the final state of Arbitrum is determined.

Streamlining Registration

Another key focus over the past few months was building a node registration process that is user-friendly and streamlined. To achieve this, CLI (command line interface) interactions were reduced as much as possible. In the past, requiring CLI interactions to set up and maintain an Oxen Service Node has been a common cause of issues for network operators. Transitioning to a web-based GUI will help diversify operators and scale the network.

New infrastructure has been set up to facilitate communications between Session Nodes and the Staking Portal, allowing people to register and stake nodes from an interface everyone is familiar with: a web-browser. Of course, this creates a new set of challenges, including the new pipelines for transmitting registration data, new website architecture, and new designs to convey those things in meaningful and useful ways to operators so they can intuitively set up and manage their nodes.

Almost all interactions with the CLI have been successfully offloaded to the Staking Portal. The CLI is now only required initially to install the software package and once more to prepare the registration. From that point, the nodes can be managed from the Staking Portal.

This transition came with its share of challenges, and we extend our gratitude to the community members for their invaluable feedback via Discord, which has already led to the deployment of several fixes. During the ongoing Session Testnet, the continued close collaboration of the community and team will prime the Session Network for a successful mainnet launch.
